EppsNet Archive: Programmers

Do You Want a Programmer or a Pizza?


I teach programming classes for a living. The school has a Slack account and one of the things we use it for is to post relevant job openings. These postings come from the hiring companies and most of them unfortunately simply consist of a copy of the job description: Responsibilities, Requirements, Technical Skills. Bullet points. Trying to hire programmers like ordering a pizza. When I was a hiring manager, HR would try to run job postings like that. The problem was that I wanted to hire good programmers and good programmers have a lot of options regarding where they work. So just as a candidate needs to sell themselves to a company, a company needs to sell itself to candidates. One way of doing this is through job postings. So I rewrote the job postings to make them more enticing. To give you an example of what I mean, here’s… Read more →

Making it Easier for Women to Do Things They Don’t Want to Do


Apple launching tech camps for women in bid to diversify industry Like other major tech companies, Apple has been trying to lessen its dependence on men in high-paying programming jobs. I don’t think “dependence” is the right word there. Is that dependence like alcohol dependence, or like dependence on foreign oil? It’s an oblique way of saying “we’re trying to employ fewer men,” but explicitly singling out members of a certain group for unwelcome attention sounds discriminatory and possibly illegal. Women filled just 23 percent of Apple’s technology jobs in 2017, according to the company’s latest breakdown. “Just” — why do we assume that working at Apple is a goal that a lot of women have? Maybe women found better jobs? Or something else they’d rather be doing? Industry critics have accused the technology companies of discriminating against women through a male-dominated hierarchy that has ruled the industry for decades.… Read more →

Developers Should Abandon Agile


No matter what framework or method your management thinks they are applying, learn to work this way: Produce running, tested, working, integrated software every two weeks, every week. Build your skills until you can create a new fully operational version every day, twice a day, multiple times a day. Keep the design of that software clean. As it grows, the design will tend to become complex and crufty. Resist and reverse this tendency consciously, refactoring in tiny continuous steps, all the time, so that your rate of progress is as steady and consistent as possible. Use the current increment of software as the foundation for all your conversations with your product leadership and management. Speak in terms of what’s ready to go, and in terms of what they’d like you to do next. This is the development team’s best hope for a reasonable life. By keeping the software always ready… Read more →

Teaching Computer Science: How to Get Top-Notch Teachers in the Classroom


I read something every day where educators and/or elected officials are talking about the importance for our kids, our country, our future, etc., of teaching computer science, the sticking point being an extreme shortage of qualified teachers. A person entering the workforce with a computer science degree is unlikely to go into teaching because of the opportunity cost: they can earn a lot more money as a software engineer. The likelihood of getting a mid-career tech industry professional to switch into teaching is even lower. Teacher salaries are based in large part on years of service. A mid-career person switching into teaching is not going to get a mid-career teacher’s salary, they are going to get a first-year teacher’s salary. So here’s the idea: Give CS professionals the opportunity to apply their years in industry to years of service as a teacher. It’s still a pay cut going from software… Read more →

1.
Below is a relaxed AlCoBr2 crystal, with properties calculated at the PBE-GGA level. Values from VASP.

Crystal system: tetragonal

The structure in Quantum ESPRESSO input format:
```
&SYSTEM
  ibrav = 0, nat = 4, ntyp = 3
/
ATOMIC_SPECIES
Al 26.98 Al.upf
Br 79.90 Br.upf
Co 58.93 Co.upf
ATOMIC_POSITIONS angstrom
Al -4.327 1.319 4.628
Br -2.510 -0.283 2.833
Br -4.718 4.161 4.662
Co -2.756 2.430 2.723
CELL_PARAMETERS angstrom
-2.347 -2.116 -0.487
1.001 -1.691 2.522
-5.186 4.573 5.124
```


2.
Below is a relaxed AlCoBr2 crystal, with properties calculated at the PBE-GGA level. Values from VASP.

Crystal system: trigonal

The structure in Quantum ESPRESSO input format:
```
&SYSTEM
  ibrav = 0, nat = 4, ntyp = 3
/
ATOMIC_SPECIES
Co 58.93 Co.upf
Br 79.90 Br.upf
Al 26.98 Al.upf
ATOMIC_POSITIONS angstrom
Co 0.000 0.000 0.000
Br 0.725 -2.143 0.315
Br 7.683 -22.711 3.340
Al 4.204 -12.427 1.828
CELL_PARAMETERS angstrom
1.063 -9.022 0.206
4.584 -7.846 0.109
2.762 -7.987 3.341
```


3.
Below is a relaxed AlCo2Br crystal, with properties calculated at the PBE-GGA level. Values from VASP.

Crystal system: orthorhombic

The structure in Quantum ESPRESSO input format:
```
&SYSTEM
  ibrav = 0, nat = 4, ntyp = 3
/
ATOMIC_SPECIES
Br 79.90 Br.upf
Co 58.93 Co.upf
Al 26.98 Al.upf
ATOMIC_POSITIONS angstrom
Br 1.921 0.528 1.845
Co 0.598 2.620 3.271
Co 0.009 0.009 0.042
Al 1.083 1.061 5.079
CELL_PARAMETERS angstrom
-0.468 2.929 5.432
2.795 -0.648 5.484
0.120 0.797 -6.136
```


Number 1: distance to the lowest polymorph of the same formula 351 meV/atom, raw formation energy 0.09 eV/atom, Fermi-level density of states 3.40 states/eV/f.u.. Number 2: distance to the lowest polymorph of the same formula 575 meV/atom, raw formation energy 0.31 eV/atom, Fermi-level density of states 7.25 states/eV/f.u.. Number 3: distance to the lowest polymorph of the same formula 124 meV/atom, raw formation energy 0.25 eV/atom, Fermi-level density of states 5.45 states/eV/f.u..


Entry 1:
Material: ZrGe
Method: DFT, PBE
State: relaxed

Magnetization ... 0.00 μB/atom
VASP energy ... -6.876 eV/atom

```
ZrGe
1.0
5.001 0.000 0.000
0.000 11.868 0.000
0.000 0.000 5.276
Zr Ge
8 8
Cartesian
1.250 1.148 0.581
1.250 2.967 3.313
1.250 4.786 0.581
1.250 8.901 3.872
3.751 2.967 1.404
3.751 7.082 4.695
3.751 8.901 1.963
3.751 10.720 4.695
1.250 5.970 3.294
1.250 7.556 1.135
1.250 10.246 1.135
1.250 11.833 3.294
3.751 0.035 1.982
3.751 1.622 4.141
3.751 4.312 4.141
3.751 5.899 1.982
```

---

Entry 2:
Material: ZrGe
Method: DFT, PBE
State: relaxed

Magnetization ... 0.01 μB/atom
VASP energy ... -6.786 eV/atom

```
ZrGe
1.0
6.058 0.000 0.000
-3.029 5.246 0.000
0.000 0.000 4.957
Zr Ge
4 4
Cartesian
0.000 0.000 0.000
0.000 1.790 2.479
-1.479 4.351 2.479
1.479 4.351 2.479
3.029 0.009 0.000
1.522 2.619 0.000
3.029 1.749 2.479
4.536 2.619 0.000
```

---

Entry 3:
Material: ZrGe
Method: DFT, PBE
State: relaxed

Magnetization ... 0.00 μB/atom
VASP energy ... -7.328 eV/atom

```
ZrGe
1.0
3.878 0.000 0.000
[Back to the entry]

Teaching Computer Science: The Phones Aren’t Helping You


I’m volunteering a couple mornings a week at a local high school, helping out with computer science classes. The way the classes are taught, via an online curriculum, provides a great temptation to kids to get off-task, which they do, usually by entertaining themselves with their phones. They get off-task in other ways too — web surfing, doing homework for other classes — but the main distractor is the phones . . .   “As I mentioned before, I worked with another CS class a couple years ago. No phones allowed in the classroom. “I remember one day the assistant principal was in class observing . . . a student had a phone out, looking at it . . . he was holding it under the table so no one could see it, but this guy, the assistant principal, he did see it. “Oh man, did he hit the roof!… Read more →

Teaching Computer Science: When You Need Help, Ask For Help

- - -
(1)
VASP calculation (PBE) on an optimized crystal structure of TaNiPb2.

a b c (Å): 4.3099 4.3099 8.8652
angles (deg): 90.00 90.00 90.00
Fractional positions:
Ta: 0.0000 0.0000 0.0000
Ta: 0.5000 0.5000 0.5000
Ni: 0.0000 0.0000 0.5000
Ni: 0.5000 0.5000 0.0000
Pb: 0.0000 0.5000 0.2500
Pb: 0.0000 0.5000 0.7500
Pb: 0.5000 0.0000 0.2500
Pb: 0.5000 0.0000 0.7500

Properties
Uncorrected energy   -44.255 eV for the cell shown
E above lowest polymorph   0.5676 eV per atom
E_form   731 meV per atom

=====

(2)
VASP calculation (PBE) on an optimized crystal structure of ScSiC.

a b c (Å): 10.1439 3.2919 6.4256
angles (deg): 90.00 128.59 90.00
Fractional positions:
Sc: 0.0000 0.0000 0.0000
Sc: 0.0715 0.5000 0.5278
Sc: 0.5000 0.5000 0.0000
Sc: 0.5715 0.0000 0.5278
Si: 0.2751 0.0000 0.9967
Si: 0.2751 0.5000 0.3246
Si: 0.7751 0.0000 0.3246
Si: 0.7751 0.5000 0.9967
C: 0.2024 0.0000 0.4468
C: 0.2962 0.0000 0.7263
C: 0.7024 0.5000 0.4468
C: 0.7962 0.5000 0.7263

Properties
Uncorrected energy   -85.951 eV for the cell shown
E above lowest polymorph   0.1974 eV per atom
Formation energy without anion corrections   -170 meV/atom

* * * * *

1.
CePaFe2 | PBE-GGA | optimized geometry

## Properties
Energy above the lowest structure with this stoichiometry = 0 kJ/mol of formula units
DOS(E_F) = 4.8 states/eV/f.u.
Calculated formation energy = -55 kJ/mol of formula units
Space group = R-3m, No. 166
Density = 10.45 Mg/m³
Total moment = 0.00 μB per formula unit

```
4
Lattice="4.1852 0.0000 0.0000 2.0926 3.6245 0.0000 2.0926 1.2082 5.0595" Properties=species:S:1:pos:R:3 pbc="T T T"
Ce 0.0000 0.0000 0.0000
Pa 4.1852 2.4163 2.5297
Fe 6.2777 3.6245 3.1748
Fe 2.0926 1.2082 1.8847
```

***

2.
CePa2Fe | PBE-GGA | optimized geometry

## Properties
Energy above the lowest structure with this stoichiometry = 0 kJ/mol of formula units
DOS(E_F) = 6.8 states/eV/f.u.
Calculated formation energy = 5 kJ/mol of formula units
Space group = P4/mmm, No. 123
Density = 12.57 Mg/m³
Total moment = 0.00 μB per formula unit

```
4
Lattice="-1.7794 1.4112 -2.5863 1.9050 -1.7538 -2.2676 -4.7930 -5.5527 0.2679" Properties=species:S:1:pos:R:3 pbc="T T T"
Pa -0.9335 -1.0814 0.0522
Ce -2.3337 -2.9476 -2.2930
Pa -3.8595 -4.4712 0.2157
Fe 0.0628 -0.1713 -2.4270
```

***

3.
Ce2PaFe2 | PBE-GGA | optimized geometry

## Properties
DOS(E_F) = 7.2 states/eV/f.u.
Calculated formation energy = -58 kJ/mol of formula units
Space group = P2_1/c, No. 14
Density = 10.32 Mg/m³
Total moment = 0.00 μB per formula unit

```
20
Lattice="6.0889 0.0000 -1.9938 0.0000 7.5085 0.0000 0.2267 0.0000 8.6965" Properties=species:S:1:pos:R:3 pbc="T T T"
Ce 3.2996 1.4196 -0.2492
Ce 2.0600 2.9697 6.2053
Fe 4.2064 7.4616 2.3199
Ce 0.2551 2.3347 0.7477
Fe 5.1005 7.2770 -0.2303
Pa 6.0205 1.5644 1.9727
Pa 2.9760 2.1899 2.9696
Fe 2.0561 3.9858 0.7666
Fe 4.2596 3.5227 5.9361
Fe 2.1093 0.0470 4.3828
Ce 3.0161 6.0889 6.9519
Pa 3.3396 5.3187 3.7331
Ce 1.2112 6.7239 1.4943
Ce 6.0606 5.1739 5.9549
Fe 1.2151 0.2315 6.9330
- - -


I’m volunteering a couple mornings a week at a local high school, helping out with computer science classes. It’s a mixed class . . . most of the students are taking AP Computer Science Principles, and about 10 kids just recently started a second-semester Visual Basic class. The VB kids were pretty inquisitive at first but started to get discouraged . . . in my opinion because of the way the material is presented to them via an online curriculum. The current approach to teaching computer science in American schools, because of the shortage of (I almost said “lack of”) qualified teachers is to use packaged courses delivered to students online. My observation is students assume that because they’ve been put in front of a computer full of lessons, they’re expected to be able to read and understand the material and complete the assignments on their own with no help.… Read more →

Teaching Computer Science: Asking for Help

**Data records, as found in the file:**
+++
Below is a relaxed structure of ScSnRh2O, with properties calculated at the PBE-GGA level.

```
ScSnRh2O
1.0
4.9692 0.0000 0.0000
0.0000 3.9870 0.0000
0.0000 0.0000 4.9692
O Rh Sn Sc
1 2 1 1
Direct
0.0000 0.5000 0.0000
0.0000 0.0000 0.5000
0.5000 0.0000 0.0000
0.0000 0.0000 0.0000
0.5000 0.5000 0.5000
```

ρ: 6.50 g/cm³
energy relative to the elements, uncorrected: 0.107 eV/atom


Record 1
# TlMoSe2

An optimized crystal structure of TlMoSe2 (PBE, Alexandria).

Values from the calculation:
As for the formation energy from raw total energies: -0.25 eV per atom.

Unit cell a=3.1409 b=3.1409 c=9.0000 alpha=90.00 beta=90.00 gamma=90.00
Last column: nearest neighbours and their distance in Å.
Space group P4/mmm (No. 123)
Inequivalent atoms, fractional coordinates:
Tl (0.0000, 0.0000, 0.0000) x1  4 Tl 3.14
Mo (0.0000, 0.0000, 0.5000) x1  8 Se 2.70
Se (0.5000, 0.5000, 0.3301) x2  4 Mo 2.70

Record 2
# Ti4SnS8

An optimized crystal structure of Ti4SnS8 (PBE, Alexandria).

Values from the calculation:
As for the formation energy from raw total energies: -1.21 eV per atom.

Unit cell a=6.8434 b=6.8434 c=20.6865 alpha=90.00 beta=90.00 gamma=120.00
Last column: nearest neighbours and their distance in Å.
Space group R-3m (No. 166, hexagonal axes)
Inequivalent atoms, fractional coordinates:
Ti (0.0000, 0.0000, 0.0000) x3  6 S 2.45
Ti (0.0000, 0.5000, 0.0000) x9  6 S 2.43-2.46
Sn (0.0000, 0.0000, 0.5000) x3  6 S 2.81
S (0.0000, 0.0000, 0.2649) x6  3 Ti 2.43
S (0.0011, 0.5006, 0.7373) x18  3 Ti 2.45-2.46

Record 3
# YMgB

An optimized crystal structure of YMgB (PBE, Alexandria).

Values from the calculation:
Its formation energy is 0.07 eV/atom.

Unit cell a=4.5566 b=4.5566 c=5.7911 alpha=90.00 beta=90.00 gamma=120.00
Last column: nearest neighbours and their distance in Å.
Space group P6_3/mmc (No. 194)
Inequivalent atoms, fractional coordinates:
Y (0.3333, 0.6667, 0.2500) x2  5 B 2.63-2.90
Mg (0.0000, 0.0000, 0.0000) x2  2 Mg 2.90, 6 Y 3.00, 6 B 3.00
B (0.3333, 0.6667, 0.7500) x2  5 Y 2.63-2.90

Record 4
# CaNb3Cl

An optimized crystal structure of CaNb3Cl (PBE, Alexandria).

Values from the calculation:
As for the formation energy from raw total energies: 2.44 eV per atom.

Unit cell a=4.9385 b=4.9385 c=4.9385 alpha=90.00 beta=90.00 gamma=90.00
Last column: nearest neighbours and their distance in Å.
Space group Pm-3m (No. 221)
Inequivalent atoms, fractional coordinates:
Ca (0.0000, 0.0000, 0.0000) x1  6 Nb 2.47
Nb (0.0000, 0.0000, 0.5000) x3  2 Ca 2.47
Cl (0.5000, 0.5000, 0.5000) x1  12 Nb 3.49
+++


I’m volunteering a couple mornings a week at a local high school, helping out with computer science classes. This morning, in AP Computer Science Principles, the teacher went through an explanation of the hexadecimal number system, then gave an in-class assignment for students to convert their cell phone number to hexadecimal. Not in two parts, 3 digits and 4 digits, but as a 7-digit number. It seemed pretty obvious from the interaction and the body language and the looks on their faces that a lot of students didn’t get it, but in a class of 25 students, only one student asked for help. Until the teacher finished with that student and asked “Does anyone else need help?” and eight more students immediately raised their hand. I asked the teacher, “Can I address the class for a minute?”   “First off, doing a 7-digit hex conversion is not easy. I know… Read more →

Teaching Computer Science: It’s Not Easy to Teach a Subject in Which You Have No Training


A recent issue of Science has an article on the pipeline for computer science teachers . . . The first sentence says, “It’s not easy to teach a subject in which you have no training.” That could be the whole article, really. That’s about all you need to know about the current state of computer science instruction: It’s not easy to teach a subject in which you have no training. Cameron Wilson, chief operating officer and president of the Code.org Advocacy Coalition, is quoted as saying, “It’s really hard to convince a computer science professional to give up a job that pays up to three times more to pursue teaching. And I don’t think we should.” Wilson’s opinion that computer science classes should not be taught by someone who actually knows something about computer science is probably influenced by the fact that Code.org is one of the leading providers of… Read more →

More Words and Phrases I’m Sick Unto Death Of


Although I can’t claim never to have said these things myself, if I had a dollar for every time I’ve heard someone say either a) “It was working fine 10 minutes ago,” or b) “It works okay on my machine,” I would be comfortably retired by now. Thus spoke The Programmer. Read more →

What Does a Programmer Do?


I was asked to give a talk last week to a high school computer science class on “What Does a Programmer Do?” (I’m indebted to Jim McCarthy for the “lords and ladies of logic” section.)   Programming is problem solving. At the highest level, the problem that programmers solve is that people want to be able to do things with computers that they can’t do. And by computers, I don’t mean just the kind of computers you have on the desks here, I mean phones, watches, cars . . . more and more different kinds of devices are running software. So one good thing about being a programmer is that pretty much every field of endeavor now uses software and data. You can work at a tech company like Microsoft or Google or Twitter or Facebook, but you can also work in healthcare, finance, education, sports . . . you… Read more →

Learn to Code


I’m a programmer . . . Job searches for me go like this: I’m old, I have to compete with people half my age, but I’ve worked in Orange County since forever so I know some people, and I can write good code in interviews, which the majority of programmers who show up for interviews can’t. I was out of work on January 5. It’s now January 24. I have three job offers and picked the one I like best. Moral of the story: Learn to code, kids . . . Thus spoke The Programmer. Read more →